Question 1 options: Shakespeare's Sonnet 30 “Beowulf and Grendel” Petrarch's Sonnet 28…

Question 1 options: Shakespeare's Sonnet 30 “Beowulf and Grendel” Petrarch's Sonnet 28….

**Inserted here: molecular data:**
********
(a)
The following is a DFT calculation (ωB97M-V with the def2-TZVPD basis set) of an isolated ion of composition CH4NO2 and charge +1.

```
! RIJCOSX wB97M-V def2-TZVPD def2/J DEFGRID3
* xyz 1 1
C 0.0589 -1.1685 0.7753
N 0.5147 0.2047 0.0082
O 0.1995 1.9573 -1.2264
O -0.3210 0.8222 -0.6053
H 0.6225 -1.9333 0.2429
H -1.0191 -1.2738 0.7179
H 0.4741 -1.0354 1.7725
H -0.5296 2.4267 -1.6850
*
```

Values from the calculation:
HOMO-LUMO gap = 0.38325 Eh
LUMO level = -7.63 eV
M = 62.048 g mol⁻¹
highest occupied orbital energy = -18.06 eV

Atomic partial charges in e from the natural (NBO) method, atoms 1 to 4: -0.426 0.295 -0.310 0.120

(b)
The following is a DFT calculation (ωB97M-V with the def2-TZVPD basis set) of an isolated ion of composition CH4NO2 and charge +1.

```
! RIJCOSX wB97M-V def2-TZVPD def2/J DEFGRID3
* xyz 1 1
C 1.1450 0.4416 0.3702
N -0.1938 0.0907 -0.0621
O 3.4004 -0.4022 -0.3616
O 2.1113 -0.1103 -0.2530
H 1.3309 1.1875 1.1403
H -0.4602 -0.8939 -0.2640
H -0.6670 0.5419 -0.9077
H -0.9244 0.3493 0.7030
*
```

Values from the calculation:
HOMO-LUMO gap (spin up / spin down) = 0.32068 / 0.32063 Eh
LUMO level (spin up / spin down) = -6.11 / -6.11 eV
M = 62.048 g mol⁻¹
highest occupied orbital energy (spin up / spin down) = -14.84 / -14.84 eV

Atomic partial charges in e from the natural (NBO) method, atoms 1 to 4: 0.325 -0.753 -0.178 -0.068

The structure with the greatest stability is (a).

(a)
The following is a DFT calculation (ωB97M-V with the def2-TZVPD basis set) of an isolated ion of composition C3H10N3O2 and charge +1.

```
! RIJCOSX wB97M-V def2-TZVPD def2/J DEFGRID3
* xyz 1 1
C 2.3965 0.9111 0.0651
C 0.6041 0.9893 0.0605
O 0.2967 1.6491 -1.0169
O 0.0522 1.4918 1.2047
N 0.0260 -0.4120 -0.0113
C -1.0376 -0.9569 0.4908
N -1.4332 -2.2338 0.1776
N -1.7287 -0.3970 1.4385
H 2.6398 0.6519 -0.8819
H 2.6952 0.0867 0.7186
H 2.7564 1.9934 0.2402
H -0.6369 1.4637 -1.1944
H 0.3217 2.4904 1.2869
H 0.6466 -1.0703 -0.6176
H -2.4901 -2.4451 0.3655
H -1.2958 -2.6843 -0.6959
H -2.6003 -0.7430 1.8689
H -1.5417 0.5579 1.7156
*
```

Values from the calculation:
HOMO-LUMO gap = 0.42302 Eh
LUMO level = -3.14 eV
structure (SMILES) = CC(O)(O)[NH+]=C(N)N
M = 120.132 g mol⁻¹
highest occupied orbital energy = -14.65 eV

Atomic partial charges in e from the natural (NBO) method, atoms 1 to 4: -0.615 0.690 -0.672 -0.755

(b)
The following is a DFT calculation (ωB97M-V with the def2-TZVPD basis set) of a 2-piece molecular cluster, C3H10N3O2 overall.

```
! RIJCOSX wB97M-V def2-TZVPD def2/J DEFGRID3
* xyz 1 1
C 2.0809 -1.0408 1.3462
C -1.6046 1.7312 -1.7737
C -1.1883 -0.4121 -0.7437
N 3.0024 -0.2239 1.9196
N -1.5551 -0.2192 0.4516
N -1.2813 0.3016 -1.7682
O 2.3946 -2.3595 1.5246
O 1.1051 -0.7964 0.6190
H -2.4937 1.9530 -2.4049
H -1.9800 2.1318 -0.8008
H -0.9096 2.3447 -2.2063
H -0.7653 -1.3341 -0.8783
H 3.8561 -0.6288 2.4099
H 3.1841 0.7950 1.7045
H -1.9043 0.6531 0.7783
H -1.1092 -0.7348 1.1928
H 1.8634 -2.9063 0.9089
H -0.8619 -0.0230 -2.6282
*
```
********
Question 1 options: Shakespeare’s Sonnet 30 “Beowulf and Grendel” Petrarch’s Sonnet 28 The Canterbury Tales Save 10.05 Semester Assessment: British and World Literature, Part 1 Pool 2 Question 2 (5 points) What characteristic of Beowulf is revealed when he refuses to use weapons to fight the monster Grendel? Question 2 options: compassion loyalty humiliation confidence Save 10.05 Semester Assessment: British and World Literature, Part 1 Pool 3 Question 3 (5 points) In “Beowulf and Grendel,” Beowulf’s victory is primarily symbolic of _________. Question 3 options: Grendel’s weakness incomprehensible evil harsh environments a divine plan Save 10.05 Semester Assessment: British and World Literature, Part 1 Pool 4 Question 4 (5 points) In The Canterbury Tales, which is an example of irony? Question 4 options: A gentle nun dislikes seeing animals in pain. A group of pilgrims takes a trip to Canterbury. A miller steals the grain he grinds for his customers. A well-traveled knight brings his son on a trip. Save 10.05 Semester Assessment: British and World Literature, Part 1 Pool 5 Question 5 (5 points) Unlike the Parson, the Pardoner in The Canterbury Tales __________. Question 5 options: gives sacrificially from his already meager salary spends most of his time hunting in the woods sells false relics, sings, and preaches to make money carries out the church’s mission for the good of others Save 10.05 Semester Assessment: British and World Literature, Part 1 Pool 6 Question 6 (5 points) What is true about the Wife of Bath based on her tale? Question 6 options: She does not want people to know about her past. She realizes that she will be a widow forever. She wishes she had been a nun instead of a wife. The characters in her tale reflect her own life. Save 10.05 Semester Assessment: British and World Literature, Part 1 Pool 7 Question 7 (5 points) In “The Wife of Bath’s Tale,” when the knight does not want to marry the old woman because of her poverty and lack of gentility, she explains that true gentility is __________. Question 7 options: coming from an important family doing good deeds earning a lot of money avoiding temptations Save 10.05 Semester Assessment: British and World Literature, Part 1 Pool 8 Question 8 (5 points) In what meter are most sonnets in English written? Question 8 options: iambic hexameter iambic pentameter iambic dimeter iambic tetrameter Save 10.05 Semester Assessment: British and World Literature, Part 1 Pool 9 Question 9 (5 points) A poem with a fixed rhyme scheme and definite meter whose 14 lines can be divided into an octave and a sestet is a(n) __________. Question 9 options: Shakespearean sonnet Browningesque sonnet Petrarchan sonnet English sonnet Save 10.05 Semester Assessment: British and World Literature, Part 1 Pool 10 Question 10 (5 points) In Sonnet 14 by Elizabeth Barrett Browning, why does the speaker tell her beloved not to love her because of the way she looks, sounds, or thinks? Question 10 options: These things are misleading. These things are permanent. These things are dangerous. These things do not stay the same. Save 10.05 Semester Assessment: British and World Literature, Part 1 Pool 11 Question 11 (5 points) Sonnet 17 by Pablo Neruda suggests the intimacy that exists between the speaker and his beloved through images of _________. Question 11 options: darkness and shadow birth and growth flowers and light violence and destruction Save 10.05 Semester Assessment: British and World Literature, Part 1 Pool 12 Question 12 (5 points) What does Marcellus say in act1 of Hamlet to help establish that something unnatural or wrong has happened? Question 12 options: “To be, or not to be: that is the question.” “Something is rotten in the state of Denmark.” “Neither a borrower nor a lender be.” “The lady doth protest too much, methinks.” Save 10.05 Semester Assessment: British and World Literature, Part 1 Pool 13 Question 13 (5 points) Which of the following is a major flaw in Hamlet’s character? Question 13 options: his tendency to hesitate and overthink his tendency to act rashly and boldly his inability to forgive his jealousy of Laertes and Polonius Save 10.05 Semester Assessment: British and World Literature, Part 1 Pool 14 Question 14 (5 points) In act 1, Hamlet says that, in the future, he may “put an antic disposition on.” This means that he may ____________. Question 14 options: feign madness, but he is actually sane have already gone insane after seeing the Ghost begin to go insane over what has happened feign sanity, but he is actually mad Save 10.05 Semester Assessment: British and World Literature, Part 1 Pool 15 Question 15 (5 points) Hamlet’s obsession with death and decay in act 5 is symbolized by __________. Question 15 options: the forged letter to England the duel with Laertes the skull of Yorick the poisoning of Gertrude Save 10.05 Semester Assessment: British and World Literature, Part 1 Pool 16 Question 16 (2 points) Choose the word that best completes the sentence. I returned from my vacation in Vancouver with several __________ of the trip, including a city map and a lovely bracelet. Question 16 options: manacles protocols mementos ablutions Save 10.05 Semester Assessment: British and World Literature, Part 1 Pool 17 Question 17 (2 points) Choose the word that best completes the sentence. After revealing the health __________ on Monday, the mayor’s office took swift action in getting vaccination centers set up around the city. Question 17 options: exigency fixation affinity lethargy Save 10.05 Semester Assessment: British and World Literature, Part 1 Pool 18 Question 18 (2 points) Choose the words that best complete the sentence. I think that at this __________ in my life, I’d like to keep house in my own __________. Question 18 options: flu…calligraphy juncture…domicile respite…nuance vestige…tutelage Save 10.05 Semester Assessment: British and World Literature, Part 1 Pool 19 Question 19 (2 points) Choose the words that best complete the sentence. Nobody suspected that the __________ in the field of ethics was capable of the kind of __________ he used to get his job. Question 19 options: utilitarian…propriety luminary…chicanery rudiment…decorum defection…larceny Save Question 20 (2 points) Choose the words that best complete the sentence. During World War II, there was a(n) __________ of many of the German __________, who fled to other countries for academic and cultural freedom. Question 20 options: onslaught…residents notation…premonitions exodus…intelligentsia idiosyncrasy…sanctions Save 10.05 Semester Assessment: British and World Literature, Part 1 Pool 20 Question 21 (2 points) The following sentence may contain a grammar or usage error. Read the sentence and identify its error, if there is one, by choosing the appropriate answer. If there is no error in the sentence, choose no error. Candace’s mother gave her a list of chores that included cleaning the cat’s box, vacuuming the living room, and to empty the dishwasher. Question 21 options: no error cleaning the cat’s box Candace’s mother gave to empty the dishwasher chores that included Save 10.05 Semester Assessment: British and World Literature, Part 1 Pool 21 Question 22 (2 points) The following sentence may contain a grammar or usage error. Read the sentence and identify its error, if there is one, by choosing the appropriate answer. If there is no error in the sentence, choose no error. Both candidates claims to have a solution to the community’s fiscal problems. Question 22 options: community’s fiscal problems Both candidates no error claims to have a solution to Save 10.05 Semester Assessment: British and World Literature, Part 1 Pool 22 Question 23 (2 points) Read the following sentence and decide whether the underlined portion contains a mistake. If so, identify the best way to correct or improve the sentence by choosing the appropriate suggestion from the answer choices. If the underlined portion requires no improvement or correction, choose No improvement or correction is required. Mr. Donovan gave a large contribution to an agency that was collecting funds for malaria prevention in Africa. Question 23 options: gave a large contribution to an agency that are collecting funds gived large contribution to an agency that was collecting funds No improvement or correction is required. were giving a large contribution to an agency that were collecting funds gave a large contribution to an agency that were collecting funds Save 10.05 Semester Assessment: British and World Literature, Part 1 Pool 23 Question 24 (2 points) Read the following sentence and decide whether the underlined portion contains a mistake. If so, identify the best way to correct or improve the sentence by choosing the appropriate suggestion from the answer choices. If the underlined portion requires no improvement or correction, choose No improvement or correction is required. At the new boutique, there were many attractive hats that would be appropriate for the festival. Question 24 options: there was many attractive hats there have been an attractive hat there has been many attractive hats there were an attractive hat No improvement or correction is required. Save 10.05 Semester Assessment: British and World Literature, Part 1 Pool 24 Question 25 (2 points) Read the following sentence and decide whether the underlined portion contains a mistake. If so, identify the best way to correct or improve the sentence by choosing the appropriate suggestion from the answer choices. If the underlined portion requires no improvement or correction, choose No improvement or correction is required. To get to the stadium, you can either take the subway but ride your bike. Question 25 options: neither take the subway or ride your bike. either take the subway or ride your bike. No improvement or correction is required. take either the subway or ride your bike. Save 10.05 Semester Assessment: British and World Literature, Part 1 Pool 25 Question 26 (2 points) Use Passage 1 to answer the following question. The palace at Linlithgow is now in ruins for what reason? Question 26 options: Queen Mary was born there. It was destroyed to prevent visitors. It was on a small island in the loch. Soldiers set some straw on fire. Save 10.05 Semester Assessment: British and World Literature, Part 1 Pool 26 Question 27 (2 points) Use Passage 1 to answer the following question. On the basis of the passage, what can the reader infer about Mary Queen of Scots? Question 27 options: She was a bitter woman. She hated her native country. She had a difficult life. She loved the beautiful palace. Save 10.05 Semester Assessment: British and World Literature, Part 1 Pool 27 Question 28 (2 points) Use Passage 1 to answer the following question. In line 16, what does the word wantonly most nearly mean? Question 28 options: sorrowfully quietly recklessly carefully Save 10.05 Semester Assessment: British and World Literature, Part 1 Pool 28 Question 29 (2 points) Use Passage 2 to answer the following question. Which of the following is the clearest and most grammatically correct way of rewriting sentence 6 (reprinted here)? Bergamot is a small citrus fruit with a strong flavor and it also has a strong fragrance. Question 29 options: Bergamot are a small citrus fruit with a strong flavor and a strong fragrance, too. Bergamot will be a small citrus fruit with a strong flavor and also has a strong fragrance. Bergamot is a small citrus fruit with a strong flavor and fragrance. Bergamot, a small citrus fruit, with a strong flavor and a strong fragrance. Save 10.05 Semester Assessment: British and World Literature, Part 1 Pool 29 Question 30 (2 points) Use Passage 2 to answer the following question. The order of the sentences is not completely logical. Which change would best correct the problem? Question 30 options: Put sentence 2 before sentence 1. Put sentence 5 before sentence 4. Put sentence 2 after sentence 8. Put sentence 1 after sentence 3. Save

Question 1 options: Shakespeare's Sonnet 30 “Beowulf and Grendel” Petrarch's Sonnet 28…